• Excerpt:
+++
! LaCe5Sn3 GGA-PBE relaxed; values from VASP
! Electronic total energy   -102.12 eV per cell
! Calculated volume   526.98 Å³ per cell
! SG   P6_3/mcm
! ρ   7.5 g cm⁻³
! Magnetization   15.77 Bohr magnetons per cell
&SYSTEM
  ibrav = 0, nat = 18, ntyp = 3
/
ATOMIC_SPECIES
La 138.91 La.upf
Ce 140.12 Ce.upf
Sn 118.71 Sn.upf
ATOMIC_POSITIONS angstrom
La 0.000 0.000 0.000
La -2.260 -1.466 1.970
Ce 0.281 -3.582 0.483
Ce 1.462 -5.269 3.409
Ce -0.615 -7.802 1.969
Ce 3.497 -2.695 4.833
Ce 0.464 -4.649 -2.927
Ce -2.983 -4.375 -3.850
Ce 3.721 -3.803 1.439
Ce -4.332 -4.050 0.498
Ce -1.796 -6.115 -0.956
Ce -3.831 -8.689 -2.381
Sn 1.663 -6.372 -0.008
Sn 1.193 -1.718 2.917
Sn -5.254 -5.865 -1.911
Sn -2.060 -2.561 -1.441
Sn -1.527 -9.666 -0.464
Sn -1.997 -5.012 2.460
CELL_PARAMETERS angstrom
-4.520 -2.932 3.940
-2.794 -5.493 -7.292
6.980 -2.959 5.804

! TlIr2F GGA-PBE relaxed; values from VASP
! Electronic total energy   -19.12 eV per cell
! Calculated volume   64.21 Å³ per cell
! Energy relative to the elements, uncorrected   0.71 eV/atom
! Offset from the most stable computed form   0.567 eV/atom
! SG   Fm-3m
! ρ   15.7 g cm⁻³
! Magnetization   1.14 Bohr magnetons per cell
&SYSTEM
  ibrav = 0, nat = 4, ntyp = 3
/
ATOMIC_SPECIES
Tl 204.38 Tl.upf
Ir 192.22 Ir.upf
F 19.00 F.upf
ATOMIC_POSITIONS angstrom
Tl 0.244 0.999 5.408
Ir 0.122 0.500 2.704
Ir 0.366 1.499 8.112
F 0.000 0.000 0.000
CELL_PARAMETERS angstrom
2.624 1.448 3.350
-1.774 2.379 3.376
-0.362 -1.829 4.090

! RbNiP GGA-PBE relaxed; values from VASP
! Electronic total energy   -12.31 eV per cell
! Calculated volume   62.70 Å³ per cell
! SG   I4mm
! ρ   4.6 g cm⁻³
! Magnetization   0.00 Bohr magnetons per cell
&SYSTEM
  ibrav = 0, nat = 3, ntyp = 3
/
ATOMIC_SPECIES
P 30.97 P.upf
Ni 58.69 Ni.upf
Rb 85.47 Rb.upf
ATOMIC_POSITIONS angstrom
P 0.471 -3.037 1.745
Ni -1.155 -1.588 2.629
Rb -0.020 -0.028 0.046
CELL_PARAMETERS angstrom
-0.166 -2.721 -1.717
3.011 -0.738 0.877
-3.549 -1.195 5.259

! TmMnIrPd GGA-PBE relaxed; values from VASP
! Electronic total energy   -29.76 eV per cell
! Calculated volume   69.43 Å³ per cell
! SG   F-43m
! ρ   12.5 g cm⁻³
! Magnetization   4.60 Bohr magnetons per cell
&SYSTEM
  ibrav = 0, nat = 4, ntyp = 4
/
ATOMIC_SPECIES
Mn 54.94 Mn.upf
Ir 192.22 Ir.upf
Tm 168.93 Tm.upf
Pd 106.42 Pd.upf
ATOMIC_POSITIONS angstrom
Mn 1.029 -6.563 5.264
Ir 0.686 -4.375 3.509
Tm 0.343 -2.188 1.755
Pd 0.000 0.000 0.000
CELL_PARAMETERS angstrom
-2.186 -3.206 2.495
1.830 -4.210 0.459
1.728 -1.334 4.064

! Li2SiO GGA-PBE relaxed; values from VASP
! Electronic total energy   -14.42 eV per cell
! Calculated volume   50.38 Å³ per cell
! Energy relative to the elements, uncorrected   -0.05 eV/atom
! Offset from the most stable computed form   0.685 eV/atom
! SG   Fm-3m
! ρ   1.9 g cm⁻³
! Magnetization   0.00 Bohr magnetons per cell
&SYSTEM
  ibrav = 0, nat = 4, ntyp = 3
/
ATOMIC_SPECIES
O 16.00 O.upf
Li 6.94 Li.upf
Si 28.09 Si.upf
ATOMIC_POSITIONS angstrom
O 0.000 0.000 0.000
Li 0.919 -1.690 -1.656
Li 2.757 -5.070 -4.969
Si 1.838 -3.380 -3.313
CELL_PARAMETERS angstrom
2.430 -3.329 -0.442
-1.003 -2.950 -2.735
2.249 -0.481 -3.449

! ScH2Pd GGA-PBE relaxed; values from VASP
! Electronic total energy   -19.08 eV per cell
! Calculated volume   42.00 Å³ per cell
! Offset from the most stable computed form   0.260 eV/atom
! SG   Fm-3m
! ρ   6.1 g cm⁻³
! Magnetization   0.00 Bohr magnetons per cell
&SYSTEM
  ibrav = 0, nat = 4, ntyp = 3
/
ATOMIC_SPECIES
Sc 44.96 Sc.upf
H 1.01 H.upf
Pd 106.42 Pd.upf
ATOMIC_POSITIONS angstrom
Sc 0.000 0.000 0.000
H 4.138 4.138 4.138
H 1.379 1.379 1.379
Pd 2.759 2.759 2.759
CELL_PARAMETERS angstrom
0.000 2.759 2.759
2.759 0.000 2.759
2.759 2.759 0.000

Question: Among the records above, which one has the lowest calculated volume?
Answer: ScH2Pd

=====

Record 1
Entry from OQMD via LeMat-Bulk: crystalline Ga2GeMo2 at its relaxed geometry (PBE-GGA).

Symmetry: I4/mmm

a = 3.4651 Å, b = 3.4651 Å, c = 7.2415 Å
α = 103.84°, β = 103.84°, γ = 90.00°
+++
• Wanted:
Search the lines further up for the word "its" and print each line that has it, please.
• Done:
Entry from OQMD via LeMat-Bulk: crystalline Ga2GeMo2 at its relaxed geometry (PBE-GGA).